• What to do:
Please say how many lines of the entries further below hold the word "molecular", as a bare number.
• Source:
-- begin --
ORCA calculation (ωB97M-V/def2-TZVPD) on a single C4H6BrNOS molecule.

Computed properties:
Kohn-Sham gap in Ha: 0.3261
Highest occupied orbital energy in eV: -8.40

Geometry (Å):
C -0.842 0.160 -0.176
C 1.052 0.128 1.628
C 1.794 -0.674 -0.331
C -2.027 0.128 -1.129
N -0.747 1.086 0.653
O 0.327 1.180 1.386
S 0.169 -1.278 -0.666
Br 2.415 0.659 -1.457
H 0.469 -0.852 1.871
H 1.835 0.433 2.280
H 2.359 -1.521 -0.003
H -2.831 0.622 -0.666
H -2.227 -0.797 -1.479
H -1.746 0.726 -1.913

=====

ORCA calculation (ωB97M-V/def2-TZVPD) on a molecular structure, C4H6CdLiO2.

Computed properties:
Charge: +1
Kohn-Sham gap (spin up / spin down) in Ha: 0.2814 / 0.2062
Highest occupied orbital energy (spin up / spin down) in eV: -12.18 / -12.07

Geometry (Å):
O 0.023 -2.273 0.734
C -1.043 -1.558 0.936
C -0.815 -0.175 1.340
Cd 2.621 1.353 -0.352
Li 0.332 1.567 -2.703
H 0.141 -0.032 1.876
H -1.640 0.283 1.897
C 0.168 -0.032 -1.184
C -0.675 0.661 -0.166
O 1.539 -0.277 -0.637
H -0.236 -1.030 -1.401
H -1.712 0.847 -0.497
H -0.232 1.627 0.115
H 1.529 -0.961 0.043

=====

ORCA calculation (ωB97M-V/def2-TZVPD) on a molecular structure, C4H6CeO2.

Computed properties:
Spin multiplicity: 2
Charge: +1
Kohn-Sham gap (spin up / spin down) in Ha: 0.2240 / 0.2258
Highest occupied orbital energy (spin up / spin down) in eV: -11.16 / -11.18

Geometry (Å):
O -0.258 -2.017 2.256
C -0.057 -1.523 0.969
C 0.109 -0.176 0.708
C 0.654 0.386 -0.494
C -0.016 1.454 -1.354
O -1.387 1.614 -1.085
Ce -2.255 0.163 0.001
H 0.559 -1.966 2.760
H 0.273 -2.270 0.228
H 1.035 -0.402 -1.169
H 0.725 1.109 0.747
H 0.134 1.207 -2.424
H 0.485 2.420 -1.141

=====

ORCA calculation (ωB97M-V/def2-TZVPD) on a single C4H6Cl2N2P2 molecule.

Computed properties:
Spin multiplicity: 3
Kohn-Sham gap (spin up / spin down) in Ha: 0.2572 / 0.2369
Highest occupied orbital energy (spin up / spin down) in eV: -6.38 / -9.13

Geometry (Å):
C 1.058 0.499 -0.315
C 2.230 -0.149 0.002
C 0.897 1.971 -0.684
C -1.082 -2.165 0.352
N -0.094 -0.168 -0.172
N 0.092 -1.397 0.218
P 1.678 -1.935 0.464
P 3.810 0.539 -0.522
Cl 4.829 -1.207 -0.747
Cl 4.749 1.130 1.119
H 1.724 2.615 -0.194
H -0.239 2.258 -0.558
H 1.104 2.087 -1.709
H -0.868 -3.131 -0.087
H -1.470 -2.455 1.375
H -1.908 -1.607 -0.183

=====

ORCA calculation (ωB97M-V/def2-TZVPD) on a single C4H6Cl2OS molecule.

Computed properties:
SMILES string: COCC(=S)C(Cl)Cl
Kohn-Sham gap in Ha: 0.3088
Highest occupied orbital energy in eV: -9.28

Geometry (Å):
C -1.252 -1.158 0.403
C -0.737 0.976 0.170
C 0.376 0.638 -0.793
C 1.725 0.117 -0.147
H -0.963 -2.163 1.089
H -0.613 -1.134 -0.713
H -2.349 -1.152 0.365
H -0.286 1.905 0.714
H -1.722 1.240 -0.167
H 2.513 0.112 -1.025
O -0.895 0.033 1.274
S 0.237 0.891 -2.359
Cl 1.868 -1.602 0.144
Cl 2.097 1.298 1.043

=====

ORCA calculation (ωB97M-V/def2-TZVPD) on 2 unconnected molecules or ions with the total composition C4H6Cl4.

Computed properties:
SMILES string: ClC(Cl)Cl.C=C(C)Cl
Kohn-Sham gap in Ha: 0.3517
Highest occupied orbital energy in eV: -9.01

Geometry (Å):
C 0.243 0.383 -3.216
C -0.846 -0.064 0.910
C -0.065 -0.592 2.007
C 0.957 -0.049 2.719
H -0.436 -0.392 -3.324
H -0.869 1.105 0.806
H -1.976 -0.415 1.040
H -0.480 -0.713 0.027
H 1.732 0.681 2.149
H 1.144 -0.414 3.721
Cl -0.138 1.193 -1.613
Cl -0.335 1.548 -4.460
Cl 1.806 -0.247 -3.351
Cl -0.738 -2.022 2.585

=====

Computed max |F|, in the same sequence as the records: 4.500, 7.982, 2.660, 2.569, 4.799, 3.559 eV/Å.
Computed E_tot, in the same sequence as the records: -88655.57793, -13097.43781, -21256.50273, -50845.35908, -42169.33028, -54332.67613 eV.

~~~~~

Version P
Computed, not measured: 7 unconnected molecules or ions with the total composition H14O6S, with ωB97M-V with the def2-TZVPD basis set.

Positions of all 21 atoms, in Å:
S: 2.95 -0.69 2.86
H: 3.70 0.31 2.40
H: 3.31 -0.28 4.08
H: 0.55 0.17 2.07
H: -0.11 -0.95 1.44
O: -0.31 -0.26 2.10
H: 0.21 -0.08 -3.08
H: -0.11 1.40 -3.21
O: 0.35 0.77 -2.64
H: -1.70 2.10 1.27
H: -1.15 0.92 0.52
O: -1.76 1.69 0.39
-- stop --
• Worked solution:
2